At the International Scientific and Didactic Book Fair, which took place at the Central Scientific Library "A. Lupan" of the Academy of Sciences of Moldova on October 10-13, 2011, the IMCS was awarded with the Diploma of Mention for the book "Academician Vladimir Andrunachievici", edited by the IMCS in 2009.
On this occasion we congratulate the IMCS researchers, who have contributed to the appearance of this book, especially authors and coordinators: the former IMCS Director, Dr. habil. Mihail Popa and journalist Tatiana Rotaru, and also members of the Editorial Board: Academician V. Arnautov, Dr. habil. A. Kashu, Corresponding Member C. Gaindric, Academician Yu. Ryabukhin. We gladly join Dr. habil. Mihail Popa who has expressed his gratitude at the beginning of the book:
The publication of this book springs from the need for knowing the history of science and our predecessors who laid the foundations of scientific research in the Republic of Moldova. If we forget our past and ignore the contributions made by the founders of the Academy of Sciences of Moldova and the scientists who have developed us as researchers, how will contemporary youth perceive this ungrateful attitude? Modern science without its origins is like a beautiful tree, which absorbs the life-giving sap with its strong roots, but hides them. We ought to examine retrospectively and to reconsider the place and the contribution of our predecessors in history, especially because our country has always been rich in prominent personalities who have shown their worth in various areas of life.
/*
Record 1
DFT (PBE) results for a geometry-optimized Er2Cl2O structure.

```
Er2Cl2O
1.0
4.045 0.000 0.000
0.000 4.045 0.000
0.000 0.000 12.967
Er Cl O
2 2 1
direct
0.000 0.000 0.157
0.000 0.000 0.843
0.000 0.000 0.345
0.000 0.000 0.655
0.000 0.000 0.000
```

Output
Calculated density in g cm⁻³: 3.30
D(E_F) in states/eV/atom: 0.325
Symmetry: No. 123
ΔE_f (raw) in eV/f.u.: -6.83
E in eV/f.u.: -24.6

Record 2
DFT (PBE) results for a geometry-optimized ErClO structure.

```
ErClO
1.0
3.268 -1.887 0.000
3.268 1.887 0.000
-2.249 0.000 9.948
Er Cl O
2 2 2
direct
0.118 0.118 0.358
0.882 0.882 0.642
0.391 0.391 0.184
0.609 0.609 0.816
0.196 0.196 0.585
0.804 0.804 0.415
```

Output
Calculated density in g cm⁻³: 5.92
D(E_F) in states/eV/atom: 0.000
Symmetry: No. 12
ΔE_f (raw) in eV/f.u.: -9.41
E in eV/f.u.: -20.8

=====

NpAgHg after structural relaxation, computed with PBE.

a b c (Å): 4.8613 4.8613 4.8613
angles (deg): 60.00 60.00 60.00
Sites, in units of the cell vectors:
Np 0.0000 0.0000 0.0000
Ag 0.7500 0.7500 0.7500
Hg 0.5000 0.5000 0.5000

Summary:
**DFT total energy**: -4.845 eV/atom
**Energy of formation**: 1.4 eV/f.u.
**Symmetry**: No. 216
**Total magnetization**: 1.59 μB per atom
**Calculated volume**: 27.1 A^3/atom
*/
We recalled in this book an exponential image of Academician Vladimir Andrunachievici, one of the prominent figures of the second half of the 20th century, a scientist with vast culture and creativity. Since 1943 he has initiated in the Moldavian SSR an extensive research in mathematics, being a founding member of the Academy of Sciences of Moldova and of the Institute of Physics and Mathematics. When I proposed the idea to publish the book you hold in your hands, it was seconded with ardour by both our team of mathematicians and other colleagues who have known the Moldovan algebraist. I am glad to gather their testimonies into a collective wide-ranging tribute, and I think that this success will certainly generate another attempts to highlight the fate of other famous personalities in mathematics.
But today, at this happy ending of the book, we express our gratitude to the leadership of the Academy of Sciences of Moldova, and especially to the President, Academician Gheorghe Duca, who has appreciated our initiative and has come up with an inspired preamble, updating the context and delivering the value. We cordially thank Mrs. Tatiana Rotaru, the author of this book and spokesperson for the Academy of Sciences of Moldova, who knew the scientist in the last 6 years of his life, interviewed him on several occasions and devoted her energy to editing the collected materials.
Crystal structures, as found in the file
=====
1.
A relaxed structure of TaSe2NF. Source: Alexandria, functional PBE-GGA.

Geometry as POSCAR:
```
TaSe2NF
1.0
-0.4956 -0.0136 -5.0357
5.0288 -0.2660 -0.4942
-0.2071 -3.9728 0.0311
Se Ta N F
2 1 1 1
Direct
0.0000 0.5000 0.0000
0.5000 0.0000 0.0000
0.0000 0.0000 0.0000
0.0000 0.0000 0.5000
0.5000 0.5000 0.5000
```

energy: -5.835 eV per atom
energy above the most stable polymorph in this dataset: 0.0 meV/atom
theoretical density: 6.06 g cm⁻³
spin magnetization: 2.4 Bohr magnetons per cell

---

2.
A relaxed structure of SrLaI2N. Source: Alexandria, functional PBE-GGA.

Geometry as POSCAR:
```
SrLaI2N
1.0
6.2005 0.0000 0.0000
0.0000 6.2005 0.0000
0.0000 0.0000 4.3739
La N I Sr
1 1 2 1
Direct
0.5000 0.5000 0.5000
0.0000 0.0000 0.5000
0.0000 0.5000 0.0000
0.5000 0.0000 0.0000
0.0000 0.0000 0.0000
```

energy: -3.814 eV per atom
energy above the most stable polymorph in this dataset: 1110.4 meV/atom
theoretical density: 4.88 g cm⁻³
spin magnetization: 0.5 Bohr magnetons per cell

---

3.
A relaxed structure of MgSc12Co5. Source: Alexandria, functional PBE-GGA.

Geometry as POSCAR:
```
MgSc12Co5
1.0
-5.9254 2.3593 -4.3541
6.7923 1.0104 -3.5324
-0.4315 -7.5773 1.4258
Sc Co Mg
12 5 1
Direct
0.8075 0.0294 0.2219
0.3089 0.6825 0.9914
0.3089 0.3175 0.6264
0.0946 0.8187 0.2759
0.8075 0.5857 0.7781
0.1925 0.9706 0.7781
0.6911 0.3175 0.0086
0.9054 0.1813 0.7241
0.6911 0.6825 0.3736
0.4571 0.1813 0.2759
0.1925 0.4143 0.2219
0.5429 0.8187 0.7241
0.5000 0.1187 0.6187
0.6489 0.6489 0.0000
0.3511 0.3511 0.0000
0.0000 0.0000 0.0000
0.5000 0.8813 0.3813
0.0000 0.5000 0.5000
```

energy: -6.519 eV per atom
E_form: -22.77 kJ/mol of atoms
theoretical density: 4.04 g cm⁻³
spin magnetization: 0.0 Bohr magnetons per cell

---

4.
A relaxed structure of Al2TlPd2. Source: Alexandria, functional PBE-GGA.

Geometry as POSCAR:
```
Al2TlPd2
1.0
4.1814 0.0000 0.0000
0.0000 4.1814 0.0000
2.0907 2.0907 5.5334
Tl Pd Al
1 2 2
Direct
0.0000 0.0000 0.0000
0.7500 0.2500 0.5000
0.2500 0.7500 0.5000
0.6224 0.6224 0.7551
0.3776 0.3776 0.2449
```

energy: -4.385 eV per atom
E_form: -32.54 kJ/mol of atoms
theoretical density: 8.09 g cm⁻³
spin magnetization: 0.0 Bohr magnetons per cell

---
=====
The disciples of Academician Vladimir Andrunachievici – Academician Yuri Ryabukhin, Academician Vladimir Arnautov, Prof. Alexei Kashu, Prof. Ion Goian and Prof. Gheorghe Ciocanu, as well as Prof. Ion Valuta, now the dean by age of algebraists in the Republic of Moldova, have made a significant contribution to editing this book. Illustrious foreign scientists – Prof. Alexander Mihalev (Moscow), Prof. Lev Shevrin (Ekaterinburg), Prof. Richard Wiegandt (Budapest) – have set forth their considerations on contribution of Academician Vladimir Andrunachievici and his impact on the development of algebraic research. We thank them in particular for this.
Academicians Andrei Andriesh, Mircea Bologa, Haralambie Corbu, Mitrofan Ciobanu, Alexey Simashkevich were receptive to our initiative and provided interesting information about the personality of Academician Vladimir Andrunachievci. We express our gratitude towards them for all the efforts that they made.
We make special mention of the contribution of Corresponding Member Constantin Gaindric, the successor of Academician Vladimir Andrunachievici in the function of Director of the Institute of Mathematics and Computer Science of the Academy of Sciences of Moldova, who has participated both in discussions on the concept of this book and in preparation of some materials.
The piece is interrupted by data records:
┌──
# MgAgRu2

An optimized crystal structure of MgAgRu2 (GGA-PBEsol, Alexandria via LeMat-Bulk).

Calculated values
Calculated total energy (eV/atom): -5.93
Mass density (g cm⁻³): 9.3
E_form (kcal/mol of atoms): 9.63
M_tot (μB per atom): 0.07

Cell: 3.709 3.709 5.083 Å, 111.40 111.40 90.00°
Each line ends with the local moment (μB).
Positions (direct):
Ag1 0.500 0.500 0.000  0.01
Mg1 0.000 0.000 0.000  0.00
Ru1 0.750 0.250 0.500  0.14
Ru2 0.250 0.750 0.500  0.14

~~~~~

Record 1
# Na4EuTl | Alexandria | PBE | optimized geometry
# - size of the total moment (μB per cell) = 29.82
# - calculated density (g/cm³) = 3.75
# - total energy (eV/f.u.) = -17.7
# - ΔH_f (0 K) (eV/f.u.) = 0.192
data_Na4EuTl
_space_group_name_H-M_alt 'F -4 3 m'
_space_group_IT_number 216
_space_group_name_Hall 'F -4 2 3'
_cell_length_a 9.256
_cell_length_b 9.256
_cell_length_c 9.256
_cell_angle_alpha 90.00
_cell_angle_beta 90.00
_cell_angle_gamma 90.00
loop_
_atom_site_label
_atom_site_fract_x
_atom_site_fract_y
_atom_site_fract_z
Na1 0.124 0.124 0.376
Eu1 0.000 0.000 0.000
Tl1 0.250 0.250 0.750



Record 2
# NaPrSbAu | Alexandria | PBE | optimized geometry
# - size of the total moment (μB per cell) = 0.00
# - calculated density (g/cm³) = 7.55
# - total energy (eV/f.u.) = -16.3
# - E_form (uncorrected) (eV per formula unit) = -2.76
data_NaPrSbAu
_space_group_name_H-M_alt 'F -4 3 m'
_space_group_IT_number 216
_space_group_name_Hall 'F -4 2 3'
_cell_length_a 7.516
_cell_length_b 7.516
_cell_length_c 7.516
_cell_angle_alpha 90.00
_cell_angle_beta 90.00
_cell_angle_gamma 90.00
loop_
_atom_site_label
_atom_site_fract_x
_atom_site_fract_y
_atom_site_fract_z
Na1 0.000 0.000 0.000
Pr1 0.000 0.000 0.500
Sb1 0.250 0.250 0.750
Au1 0.250 0.250 0.250



Record 3
# HgHF | Alexandria | PBE | optimized geometry
# - size of the total moment (μB per cell) = 0.00
# - calculated density (g/cm³) = 6.94
# - total energy (eV/f.u.) = -7.5
# - energy relative to the lowest polymorph listed for this composition (eV/f.u.) = 0.852
data_HgHF
_space_group_name_H-M_alt 'C 1 m 1'
_space_group_IT_number 8
_space_group_name_Hall 'C -2y'
_cell_length_a 5.231
_cell_length_b 5.382
_cell_length_c 3.754
_cell_angle_alpha 90.00
_cell_angle_beta 93.26
_cell_angle_gamma 90.00
loop_
_atom_site_label
_atom_site_fract_x
_atom_site_fract_y
_atom_site_fract_z
Hg1 0.000 0.000 0.000
H1 0.245 0.500 0.744
F1 0.329 0.000 0.330



Record 4
# Ta2ZnHRh | Alexandria | PBE | optimized geometry
# - size of the total moment (μB per cell) = 0.00
# - calculated density (g/cm³) = 13.25
# - total energy (eV/f.u.) = -36.4
# - energy relative to the lowest polymorph listed for this composition (eV/f.u.) = 0.000
data_Ta2ZnHRh
_space_group_name_H-M_alt 'P 4/m m m'
_space_group_IT_number 123
_space_group_name_Hall '-P 4 2'
_cell_length_a 4.101
_cell_length_b 4.101
_cell_length_c 3.958
_cell_angle_alpha 90.00
_cell_angle_beta 90.00
_cell_angle_gamma 90.00
loop_
_atom_site_label
_atom_site_fract_x
_atom_site_fract_y
_atom_site_fract_z
└──
We highly appreciate study and unusual details about Andrunachievici family tree, made knowingly by Prof. Vlad Ciubucciu.
The unique visions, sometimes surprising, about the life and work of Academician Vladimir Andrunachievici were proposed for this book by Dr. habil. Svetlana Cojocaru, Dr. Vladimir Levcenco, Sergey Neveadomski, thus extending the addressed area. We cordially thank them for it.
Mrs. Natalia Shpak, Mrs. Ludmila Bendas and Mrs. Tatiana Tofan participated in archives search, selection of certain materials and their preparation. Editorial works – graphical representation of the cover, technical editing and distribution of photographic images – were realized with a significant contribution of Dr. Andrei Braicov, Dr. Eugene Kuznetsov and Mrs. Silvia Cebanu. We express our most sincere thanks to them.